Data:
+++
# Tm6InSn

A geometry-optimized Tm6InSn structure (PBE, Alexandria via LeMat-Bulk).

Calculated values
Energy relative to the elements: 0.03 eV/atom
DOS(E_F): 11.52 states/eV/f.u.
Total DFT energy (no corrections): -4.16 eV per atom

abc: 6.880 6.880 6.879
angles: 103.69 103.69 120.03
Fractional coordinates of all 8 atoms:
1 Tm 0.253 0.253 0.749
2 Tm 0.464 0.047 0.248
3 Tm 0.747 0.747 0.251
4 Tm 0.953 0.536 0.752
5 Tm 0.536 0.953 0.752
6 Tm 0.047 0.464 0.248
7 In 0.000 0.000 0.000
8 Sn 0.500 0.500 0.500



# CaMg14CdO16

A geometry-optimized CaMg14CdO16 structure (PBE, Alexandria via LeMat-Bulk).

Calculated values
DOS(E_F): 0.00 states/eV/f.u.
Total DFT energy (no corrections): -5.82 eV per atom
Formation energy from raw total energies: -2.552 eV per atom

abc: 4.367 8.670 8.714
angles: 90.00 90.00 90.00
Fractional coordinates of all 32 atoms:
1 Ca 0.000 0.000 0.000
2 Mg 0.000 0.500 0.000
3 Mg 0.000 0.500 0.500
4 Mg 0.500 0.000 0.251
5 Mg 0.500 0.000 0.749
6 Mg 0.500 0.500 0.250
7 Mg 0.500 0.500 0.750
8 Mg 0.500 0.256 0.000
9 Mg 0.500 0.256 0.500
10 Mg 0.500 0.744 0.000
11 Mg 0.500 0.744 0.500
12 Mg 0.000 0.256 0.251
13 Mg 0.000 0.256 0.749
14 Mg 0.000 0.744 0.251
15 Mg 0.000 0.744 0.749
16 Cd 0.000 0.000 0.500
17 O 0.000 0.265 0.000
18 O 0.000 0.268 0.500
19 O 0.000 0.735 0.000
20 O 0.000 0.732 0.500
21 O 0.500 0.250 0.251
22 O 0.500 0.250 0.749
23 O 0.500 0.750 0.251
24 O 0.500 0.750 0.749
25 O 0.500 0.000 0.000
26 O 0.500 0.000 0.500
27 O 0.500 0.500 0.000
28 O 0.500 0.500 0.500
29 O 0.000 0.000 0.249
30 O 0.000 0.000 0.751
31 O 0.000 0.500 0.250
32 O 0.000 0.500 0.750



# Ni5Br3

A geometry-optimized Ni5Br3 structure (PBE, Alexandria via LeMat-Bulk).

Calculated values
DOS(E_F): 11.99 states/eV/f.u.
Total DFT energy (no corrections): -3.69 eV per atom
Formation energy from raw total energies: 0.553 eV per atom

abc: 8.246 8.246 4.536
angles: 90.00 90.00 120.00
Each line ends with the local moment (μB).
Fractional coordinates of all 16 atoms:
1 Ni 0.333 0.667 0.000  0.73
2 Ni 0.667 0.333 0.500  0.73
3 Ni 0.667 0.333 0.000  0.73
4 Ni 0.333 0.667 0.500  0.73
5 Ni 0.172 0.000 0.250  0.61
6 Ni 0.828 0.000 0.750  0.61
7 Ni 0.000 0.172 0.250  0.61
8 Ni 0.828 0.828 0.250  0.61
9 Ni 0.172 0.172 0.750  0.61
10 Ni 0.000 0.828 0.750  0.61
11 Br 0.649 0.000 0.250  0.08
12 Br 0.351 0.000 0.750  0.08
13 Br 0.000 0.649 0.250  0.08
14 Br 0.351 0.351 0.250  0.08
15 Br 0.649 0.649 0.750  0.08
16 Br 0.000 0.351 0.750  0.08



# CuH2Pd2

A geometry-optimized CuH2Pd2 structure (PBE, Alexandria via LeMat-Bulk).

Calculated values
DOS(E_F): 0.85 states/eV/f.u.
Total DFT energy (no corrections): -4.31 eV per atom

abc: 3.039 3.039 5.771
angles: 74.73 74.73 90.00
Fractional coordinates of all 5 atoms:
1 H 0.750 0.250 0.500
2 H 0.250 0.750 0.500
3 Cu 0.000 0.000 0.000
4 Pd 0.353 0.353 0.294
5 Pd 0.647 0.647 0.706



# VZn2Pt

A geometry-optimized VZn2Pt structure (PBE, Alexandria via LeMat-Bulk).

Calculated values
Energy relative to the elements: -0.22 eV/atom
DOS(E_F): 6.49 states/eV/f.u.
Total DFT energy (no corrections): -4.65 eV per atom

abc: 4.346 4.346 4.346
angles: 60.00 60.00 60.00
Each line ends with the local moment (μB).
Fractional coordinates of all 4 atoms:
1 Zn 0.250 0.250 0.250  0.01
2 Zn 0.750 0.750 0.750  0.01
3 Pt 0.500 0.500 0.500  0.08
4 V 0.000 0.000 0.000  2.07
+++

Assignment:
Now print the whole of the calculation results further above without altering anything.

Solution:
# Tm6InSn

A geometry-optimized Tm6InSn structure (PBE, Alexandria via LeMat-Bulk).

Calculated values
Energy relative to the elements: 0.03 eV/atom
DOS(E_F): 11.52 states/eV/f.u.
Total DFT energy (no corrections): -4.16 eV per atom

abc: 6.880 6.880 6.879
angles: 103.69 103.69 120.03
Fractional coordinates of all 8 atoms:
1 Tm 0.253 0.253 0.749
2 Tm 0.464 0.047 0.248
3 Tm 0.747 0.747 0.251
4 Tm 0.953 0.536 0.752
5 Tm 0.536 0.953 0.752
6 Tm 0.047 0.464 0.248
7 In 0.000 0.000 0.000
8 Sn 0.500 0.500 0.500



# CaMg14CdO16

A geometry-optimized CaMg14CdO16 structure (PBE, Alexandria via LeMat-Bulk).

Calculated values
DOS(E_F): 0.00 states/eV/f.u.
Total DFT energy (no corrections): -5.82 eV per atom
Formation energy from raw total energies: -2.552 eV per atom

abc: 4.367 8.670 8.714
angles: 90.00 90.00 90.00
Fractional coordinates of all 32 atoms:
1 Ca 0.000 0.000 0.000
2 Mg 0.000 0.500 0.000
3 Mg 0.000 0.500 0.500
4 Mg 0.500 0.000 0.251
5 Mg 0.500 0.000 0.749
6 Mg 0.500 0.500 0.250
7 Mg 0.500 0.500 0.750
8 Mg 0.500 0.256 0.000
9 Mg 0.500 0.256 0.500
10 Mg 0.500 0.744 0.000
11 Mg 0.500 0.744 0.500
12 Mg 0.000 0.256 0.251
13 Mg 0.000 0.256 0.749
14 Mg 0.000 0.744 0.251
15 Mg 0.000 0.744 0.749
16 Cd 0.000 0.000 0.500
17 O 0.000 0.265 0.000
18 O 0.000 0.268 0.500
19 O 0.000 0.735 0.000
20 O 0.000 0.732 0.500
21 O 0.500 0.250 0.251
22 O 0.500 0.250 0.749
23 O 0.500 0.750 0.251
24 O 0.500 0.750 0.749
25 O 0.500 0.000 0.000
26 O 0.500 0.000 0.500
27 O 0.500 0.500 0.000
28 O 0.500 0.500 0.500
29 O 0.000 0.000 0.249
30 O 0.000 0.000 0.751
31 O 0.000 0.500 0.250
32 O 0.000 0.500 0.750



# Ni5Br3

A geometry-optimized Ni5Br3 structure (PBE, Alexandria via LeMat-Bulk).

Calculated values
DOS(E_F): 11.99 states/eV/f.u.
Total DFT energy (no corrections): -3.69 eV per atom
Formation energy from raw total energies: 0.553 eV per atom

abc: 8.246 8.246 4.536
angles: 90.00 90.00 120.00
Each line ends with the local moment (μB).
Fractional coordinates of all 16 atoms:
1 Ni 0.333 0.667 0.000  0.73
2 Ni 0.667 0.333 0.500  0.73
3 Ni 0.667 0.333 0.000  0.73
4 Ni 0.333 0.667 0.500  0.73
5 Ni 0.172 0.000 0.250  0.61
6 Ni 0.828 0.000 0.750  0.61
7 Ni 0.000 0.172 0.250  0.61
8 Ni 0.828 0.828 0.250  0.61
9 Ni 0.172 0.172 0.750  0.61
10 Ni 0.000 0.828 0.750  0.61
11 Br 0.649 0.000 0.250  0.08
12 Br 0.351 0.000 0.750  0.08
13 Br 0.000 0.649 0.250  0.08
14 Br 0.351 0.351 0.250  0.08
15 Br 0.649 0.649 0.750  0.08
16 Br 0.000 0.351 0.750  0.08



# CuH2Pd2

A geometry-optimized CuH2Pd2 structure (PBE, Alexandria via LeMat-Bulk).

Calculated values
DOS(E_F): 0.85 states/eV/f.u.
Total DFT energy (no corrections): -4.31 eV per atom

abc: 3.039 3.039 5.771
angles: 74.73 74.73 90.00
Fractional coordinates of all 5 atoms:
1 H 0.750 0.250 0.500
2 H 0.250 0.750 0.500
3 Cu 0.000 0.000 0.000
4 Pd 0.353 0.353 0.294
5 Pd 0.647 0.647 0.706



# VZn2Pt

A geometry-optimized VZn2Pt structure (PBE, Alexandria via LeMat-Bulk).

Calculated values
Energy relative to the elements: -0.22 eV/atom
DOS(E_F): 6.49 states/eV/f.u.
Total DFT energy (no corrections): -4.65 eV per atom

abc: 4.346 4.346 4.346
angles: 60.00 60.00 60.00
Each line ends with the local moment (μB).
Fractional coordinates of all 4 atoms:
1 Zn 0.250 0.250 0.250  0.01
2 Zn 0.750 0.750 0.750  0.01
3 Pt 0.500 0.500 0.500  0.08
4 V 0.000 0.000 0.000  2.07